Sometimes some of our predictions about the future are way off. If anyone remembers “The Jetsons” from the 1960s, we were all on the brink of driving around in flying cars, talking robots would take care of our children and keep up the housekeeping, and we’d all be galloping around the solar system as easy as a trip down to the local supermarket.
We’ve obviously not reached that kind of future technology yet.
But there are some classic sci-fi movies where we’re finally now reaching a point where the futuristic new technology the movie predicted is actually becoming or has become our reality.
Someone pasted records of crystals at this point:
=====
This entry pairs a crystal structure of Er5Sn2Ru with its calculated powder diffractogram. Radiation: λ = 1.5418 Å (Cu Kα). Structure: a structure optimized by DFT (PBE).
Neutral-atom scattering factors, no anomalous dispersion.

a = 5.577 Å, b = 15.492 Å, c = 13.494 Å
α = 90.00°, β = 90.00°, γ = 90.00°
Space group Cmcm (No. 63)
Symmetry-distinct sites (fractional):
Er: 0.000 0.052 0.117 x8
Er: 0.000 0.283 0.095 x8
Er: 0.000 0.291 0.750 x4
Sn: 0.000 0.143 0.582 x8
Ru: 0.000 0.174 0.250 x4

Top 12 peaks for 10 to 90 degrees two-theta, in order of rising 2θ:
index  d [Å]  Rel. int.
0 2 0  7.746  63
1 1 0  5.248  94
0 2 3  3.890  39
1 1 3  3.415  32
0 4 3  2.935  100
1 1 4  2.838  27
2 0 0  2.789  84
1 5 3  2.320  92
0 0 6  2.249  28
2 4 3  2.022  70
2 0 6  1.751  27
3 5 3  1.503  24


(1)
This entry pairs a crystal structure of LuThTc2 with its simulated powder diffraction line list. Radiation: copper Kα. Structure: a crystal structure in the Materials Project, relaxed with PBE.
Lines closer than 0.1° are merged.

Main lines, in order of rising 2θ (15 to 90 degrees two-theta):
2θ = 25.87°, intensity 13; 2θ = 36.91°, intensity 100; 2θ = 53.19°, intensity 18; 2θ = 60.07°, intensity 6; 2θ = 66.50°, intensity 36; 2θ = 78.56°, intensity 11

Structural model:
Unit cell a=6.8884 b=6.8884 c=6.8884 alpha=90.00 beta=90.00 gamma=90.00
Space group Fm-3m (No. 225)
Unique sites:
Lu 0.0000 0.0000 0.0000 [4 per cell]
Th 0.0000 0.0000 0.5000 [4 per cell]
Tc 0.2500 0.2500 0.2500 [8 per cell]

=====

(2)
This entry pairs a crystal structure of GdGa6Fe6 with its simulated powder diffraction line list. Radiation: copper Kα. Structure: a crystal structure in the Materials Project, relaxed with PBE.
Lines closer than 0.1° are merged.

Main lines, in order of rising 2θ (15 to 90 degrees two-theta):
2θ = 36.54°, intensity 81; 2θ = 42.11°, intensity 78; 2θ = 42.27°, intensity 100; 2θ = 42.54°, intensity 68; 2θ = 42.84°, intensity 52; 2θ = 77.67°, intensity 30

Structural model:
Unit cell a=4.9478 b=11.8923 c=12.1549 alpha=90.00 beta=90.00 gamma=90.00
Space group Fmmm (No. 69)
Unique sites:
Gd 0.0000 0.0000 0.0000 [4 per cell]
Ga 0.0000 0.1652 0.1850 [16 per cell]
Ga 0.2500 0.2500 0.0000 [8 per cell]
Fe 0.0000 0.1056 0.3902 [16 per cell]
Fe 0.2500 0.0000 0.2500 [8 per cell]

=====

(3)
This entry pairs a crystal structure of Pm2SiHg with its simulated powder diffraction line list. Radiation: copper Kα. Structure: a crystal structure in the Materials Project, relaxed with PBE.
Lines closer than 0.1° are merged.

Main lines, in order of rising 2θ (15 to 90 degrees two-theta):
2θ = 20.75°, intensity 24; 2θ = 34.20°, intensity 100; 2θ = 40.34°, intensity 14; 2θ = 49.14°, intensity 18; 2θ = 61.23°, intensity 37; 2θ = 82.22°, intensity 17

Structural model:
Unit cell a=7.4156 b=7.4156 c=7.4156 alpha=90.00 beta=90.00 gamma=90.00
Space group Fm-3m (No. 225)
Unique sites:
Pm 0.2500 0.2500 0.2500 [8 per cell]
Si 0.0000 0.0000 0.0000 [4 per cell]
Hg 0.0000 0.0000 0.5000 [4 per cell]
=====
In 2001: A Space Odyssey, one of the protagonists, Heywood Floyd, makes a two way video conference call to his daughter, paying for the call using what looks like a debit card, and foreshadowing the coming of two technologies.
Making voice over IP video/audio calls with software apps like Skype and FaceTime. And electronic payment technology.
There’s a scene in Back to the Future II, where we see the future family of Marty McFly in the 21st century. Marty McFly’s son uses wearable VR glasses similar to today’s Google glasses and Oculus Rift goggles.
In the original movie version of Total Recall, we see Arnold Schwarzenegger hail a “Jonny Cab”, an autonomous taxi cab that shuttles passengers around from destination to destination. We are ALMOST on the cusp of having autonomous car technology legally allowed on our roads, and Google and Apple are both investing heavily in autonomous car technology.
And of course, let’s not forget the communicator devices which Captain Kirk and the rest of the Enterprise crew used on away missions on alien planets, which were basically our portable cell phones of today.
You might remember the all-immersive holodeck from Star Trek: The Next Generation, which allowed crew members of the enterprise to enjoy a virtual reality experience that was quite literally indistinguishable from reality. Ray Bradbury’s early short story “The Veldt”, was one of the first science fiction portrayals of an all-immersive virtual reality experience.
We’re still quite far away from this VR type experience. We still need lots of bulky goggle or helmet gear to mimic the VR experience which Star Trek and Ray Bradbury predicted.
But one technology that is just a half step down from full virtual reality technology is “augmented reality”.
The military has already had augmented reality technology in the form of “HUD” or Heads-up Display technology in many of our modern jet fighters, helicopters and tanks.
-- Misplaced calculated crystals --
No. 1
Starting from a GGA-PBE-relaxed structure, the PXRD pattern of Ac2AgBi4 was calculated for Cu Kα, 1.54184 Å.

Structure:
Unit cell a=4.794 b=4.794 c=10.332 alpha=90.00 beta=90.00 gamma=90.00
Space group P-4m2 (No. 115)
Unique sites:
1 Ac 0.000 0.500 0.235 (multiplicity 2)
2 Ag 0.500 0.500 0.000 (multiplicity 1)
3 Bi 0.000 0.000 0.500 (multiplicity 1)
4 Bi 0.000 0.500 0.843 (multiplicity 2)
5 Bi 0.500 0.500 0.500 (multiplicity 1)

Most intense lines, 10° ≤ 2θ ≤ 90°, in order of rising 2θ:
index, Position (°2θ), intensity
0 0 3, 25.87, 22
1 1 1, 27.69, 36
1 1 2, 31.57, 100
1 0 3, 32.00, 20
2 0 0, 37.52, 48
3 1 2, 64.00, 27

No. 2
Starting from a GGA-PBE-relaxed structure, the PXRD pattern of Ac4Ag5Bi7 was calculated for Cu Kα, 1.54184 Å.

Structure:
Unit cell a=6.592 b=6.592 c=22.264 alpha=90.00 beta=90.00 gamma=90.00
Space group I-42m (No. 121)
Unique sites:
1 Ac 0.247 0.247 0.124 (multiplicity 8)
2 Ag 0.000 0.000 0.249 (multiplicity 4)
3 Ag 0.000 0.000 0.500 (multiplicity 2)
4 Ag 0.000 0.500 0.250 (multiplicity 4)
5 Bi 0.000 0.000 0.000 (multiplicity 2)
6 Bi 0.000 0.500 0.000 (multiplicity 4)
7 Bi 0.246 0.246 0.336 (multiplicity 8)

Most intense lines, 10° ≤ 2θ ≤ 90°, in order of rising 2θ:
index, Position (°2θ), intensity
1 1 4, 24.92, 15
2 0 4, 31.55, 100
2 2 0, 38.63, 38
1 1 10, 45.13, 14
4 0 0, 55.78, 13
4 2 4, 65.51, 25

No. 3
Starting from a GGA-PBE-relaxed structure, the PXRD pattern of AcAgBr4 was calculated for Cu Kα, 1.54184 Å.

Structure:
Unit cell a=7.482 b=7.407 c=7.438 alpha=90.00 beta=102.32 gamma=90.00
Space group Cm (No. 8)
Unique sites:
1 Ac 0.000 0.000 0.000 (multiplicity 2)
2 Ag 0.004 0.500 0.498 (multiplicity 2)
3 Br 0.196 0.250 0.751 (multiplicity 4)
4 Br 0.304 0.250 0.250 (multiplicity 4)

Most intense lines, 10° ≤ 2θ ≤ 90°, in order of rising 2θ:
index, Position (°2θ), intensity
1 1 -1, 19.42, 100
1 1 1, 22.48, 71
2 0 -2, 30.78, 51
2 2 0, 34.48, 75
0 2 2, 34.58, 94
2 0 2, 38.50, 49

No. 4
Starting from a GGA-PBE-relaxed structure, the PXRD pattern of CsAcAg2Br8 was calculated for Cu Kα, 1.54184 Å.

Structure:
Unit cell a=7.416 b=7.416 c=16.426 alpha=90.00 beta=90.00 gamma=90.00
Space group I-4 (No. 82)
Unique sites:
1 Cs 0.000 0.000 0.000 (multiplicity 2)
2 Ac 0.000 0.500 0.250 (multiplicity 2)
3 Ag 0.000 0.000 0.500 (multiplicity 2)
4 Ag 0.000 0.500 0.750 (multiplicity 2)
5 Br 0.113 0.281 0.410 (multiplicity 8)
6 Br 0.159 0.786 0.807 (multiplicity 8)

Most intense lines, 10° ≤ 2θ ≤ 90°, in order of rising 2θ:
index, Position (°2θ), intensity
1 1 2, 20.09, 100
2 1 1, 27.43, 41
1 1 4, 27.59, 30
2 0 4, 32.53, 42
1 1 6, 37.04, 36
1 3 2, 39.99, 70

No. 5
Starting from a GGA-PBE-relaxed structure, the PXRD pattern of CsAc2AgBr8 was calculated for Cu Kα, 1.54184 Å.

Structure:
Unit cell a=7.396 b=7.470 c=9.572 alpha=90.27 beta=90.12 gamma=97.40
Space group P-1 (No. 2)
Unique sites:
1 Cs 0.000 0.000 0.000 (multiplicity 1)
2 Ac 0.500 0.499 0.739 (multiplicity 2)
3 Ag 0.000 0.000 0.500 (multiplicity 1)
-- End of the calculated crystals --
A heads-up display is an electronic overlay typically placed in front of the windshield of a jet fighter or helicopter cockpit. The HUD places very useful and crucial information about a plane, helicopter or tank’s current GPS position, velocity and direction and speed information right on the HUD overlay. It even displays information about your enemy as well.
The heads-up display gives the pilot real-time information without forcing them to look down to the instrument panel to get the same information. This is a huge and vital tactical advantage because you can focus on the most important aspect of being a fighter, helicopter or tank commander, which is maneuvering and engaging in combat, and not get bogged down by the information overload one gets from the traditional instrument panel.
Only the most important and relevant information is placed on the heads up display, and it demonstrates a clear and obvious benefit of augmented reality.
Augmented reality, unlike virtual reality, doesn’t completely replace the environment of the real world with a digital world. Instead, it overlays digital augmented reality information on TOP of the real world environment.
When Nintendo released their mobile augmented reality smartphone game, Pokemon Go, it launched an instant worldwide mania of Nintendo game fanatics hunting for those famous digital Pokemon creatures, not in the confines of a traditional video game, but in the real world.
The Pokemon Go game crazy even invaded my own neighborhood, as I saw hordes of Pokemon Go zombies literally glued to their phones, and shambling about the neighborhood like the walking dead, completely unaware of their actual surroundings. There were stories of some Pokemon Go fans so glued to their screens playing the game, they ended up getting robbed or mugged, failing to pay attention to their REAL surroundings.
Pokemon Go’s augmented reality technology proved beyond the shadow of a doubt money can be made with this technology.
Apple’s CEO, Tim Cook, is clearly excited about the burgeoning field of augmented reality.
He just realized a new SDK (software development kit) library for iOS developers to add augmented reality to their iOS apps. Because every iPhone and iPad have an array of physical sensors that can measure movement and position, as well as the iPhone’s camera, they all have the physical tools to make augmented reality a reality.
During Apple’s recent yearly World Wide Developer’s Conference, they announced their augmented software library, dubbed “ARKit”.
By using the physical sensors that capture data like the physical environment around you, as well as your current position and velocity, the ARKit lets you use that physical data and melds it with whatever additional digital data you want.
I’m sure there will be a new wave of ARKit apps that arrive in Apple app store.
I can already think of some immediate and practical apps that could use augmented reality technology.
Say you’re remodeling your house and adding a new bedroom. You could use an augmented reality app on your smartphone or tablet, and use the motion sensors and physical camera to scan the contents of the open space in the room.
Once the scan process is in place, you could pick and choose digital furniture objects and pluck them inside the room to see how it would look. You could see what a fully furnished room in your house would look like, and see how best it would look, before going out into the real world to purchase your furnishings.
It would also help you save costly mistakes by choosing the wrong furniture and appliances. It might also disrupt the entire cottage industry of home decorators. After all, why hire a home decorator when you can use an augmented reality-based app to be your virtual home decorator for you?
I can already see plenty of opportunities to make educational based apps with the help of augmented reality. Parents could install a travel app on their smartphone which would let kids point their phone at a certain public building or famous landmark like the Grand Canyon or the Washington Monument, and then pull audio and visual information about those landmarks. It would help make the learning process and the desire to know more about a particular subject more fun for kids.
I’m only conjecturing here, but there’s lots of speculation that Apple is very interested in the automobile industry, either with their own Apple-branded vehicle or with using their technology to help make cars safer to drive.
What if Apple used augmented reality technology with physical sensors in the car and front windshield and side windows, to create a virtual HUD display similar to the one combat pilots currently use in jet fighters and helicopters?
Instead of having to look away from the main front windshield to look at digital information, like what you have to do now with cars equipped with LED computer displays, you could see important information about where you’re heading and turn by turn driving directions directly through your vehicle’s front windshield, so you’re never distracted by having to look away at another display.
If an oncoming car was in danger of colliding with you, the augmented reality heads-up display could immediately warn you with visual and audio warnings that a collision is imminent unless you get out of the way
Clearly, we’re entering a new age of augmented reality technology and the sky’s the limit, and I’m looking forward to what lies ahead.